[File]
********
(1)
Diffraction record for AlInHgBr4. The powder XRD pattern is computed, not measured: it uses the PBE geometry in Alexandria and CuKα.
Lines closer than 0.1° are merged.

Largest 12 diffraction maxima, sorted by position, 10 to 90 degrees two-theta:
2theta, Rel. int.
16.96, 100.0
26.15, 46.9
26.60, 74.6
26.74, 37.9
27.54, 57.5
31.89, 36.0
32.18, 24.4
34.14, 40.4
34.30, 22.9
35.84, 23.9
40.59, 38.4
54.14, 24.6

Cell and atoms:
```
14
Lattice="6.311 -5.228 0.000 6.311 5.228 0.000 -2.684 0.000 9.523" Properties=species:S:1:pos:R:3 pbc="T T T"
Al 1.258 0.000 2.528
Al 8.680 0.000 6.996
In 0.792 0.000 8.633
In 9.145 0.000 0.890
Hg 5.628 0.000 1.738
Hg 4.310 0.000 7.785
Br 1.797 3.380 8.348
Br -1.651 0.000 6.619
Br 2.439 0.000 4.490
Br 8.141 3.380 1.175
Br 1.797 -3.380 8.348
Br 7.499 0.000 5.033
Br 11.589 0.000 2.904
Br 8.141 -3.380 1.175
```

=====

(2)
Diffraction record for KAlHgBr4. The powder XRD pattern is computed, not measured: it uses the PBE geometry in Alexandria and CuKα.
Lines closer than 0.1° are merged.

Largest 12 diffraction maxima, sorted by position, 10 to 90 degrees two-theta:
2theta, Rel. int.
10.62, 23.3
13.30, 28.3
16.60, 41.2
21.68, 42.5
24.80, 76.4
25.90, 48.1
26.79, 53.5
27.97, 100.0
31.34, 63.5
32.23, 54.1
39.11, 80.3
48.87, 26.2

Cell and atoms:
```
14
Lattice="-3.977 5.342 6.657 3.977 -5.342 6.657 3.977 5.342 -6.657" Properties=species:S:1:pos:R:3 pbc="T T T"
K 0.000 0.000 0.000
K 0.000 5.342 0.000
Al 3.977 2.671 1.766
Al 0.000 2.671 4.890
Hg 1.989 2.671 -3.328
Hg 1.989 -2.671 3.328
Br 2.094 2.671 0.342
Br 5.861 2.671 0.342
Br 3.977 0.711 2.981
Br 0.000 0.711 3.675
Br 3.977 4.631 2.981
Br 0.000 4.631 3.675
Br -1.884 2.671 6.315
Br 1.884 2.671 6.315
```

=====

(3)
Diffraction record for Al2HgBrN. The powder XRD pattern is computed, not measured: it uses the PBE geometry in Alexandria and CuKα.
Lines closer than 0.1° are merged.

Largest 12 diffraction maxima, sorted by position, 10 to 90 degrees two-theta:
2theta, Rel. int.
16.56, 23.6
23.51, 65.1
28.47, 100.0
33.11, 32.8
33.49, 56.3
44.51, 61.0
48.08, 20.1
53.18, 14.3
54.19, 13.5
56.83, 15.0
58.91, 21.8
67.59, 18.1

Cell and atoms:
```
5
Lattice="5.352 0.000 0.000 0.000 5.352 0.000 0.000 0.000 3.869" Properties=species:S:1:pos:R:3 pbc="T T T"
Al 0.000 2.676 0.000
Al 2.676 0.000 0.000
Hg 0.000 0.000 1.934
Br 2.676 2.676 0.000
N 2.676 2.676 1.934
```

=====

(4)
Diffraction record for Rb2AlHgBr6. The powder XRD pattern is computed, not measured: it uses the PBE geometry in Alexandria and CuKα.
Lines closer than 0.1° are merged.

Largest 12 diffraction maxima, sorted by position, 10 to 90 degrees two-theta:
2theta, Rel. int.
15.98, 52.3
22.68, 56.0
26.66, 45.6
27.87, 68.4
32.22, 48.8
32.33, 97.0
35.28, 45.7
36.23, 23.2
39.82, 22.3
46.31, 100.0
57.58, 33.0
76.96, 26.1

Cell and atoms:
```
10
Lattice="-3.917 3.917 5.557 3.917 -3.917 5.557 3.917 3.917 -5.557" Properties=species:S:1:pos:R:3 pbc="T T T"
Rb 3.917 0.000 2.778
Rb 0.000 3.917 2.778
Al 0.000 0.000 0.000
Hg 0.000 0.000 5.557
Br 0.000 0.000 2.548
Br 1.801 1.801 0.000
Br 2.116 -2.116 5.557
Br -2.116 2.116 5.557
Br 2.116 2.116 5.557
Br 0.000 0.000 8.565
```

=====

(5)
Diffraction record for AlSn2HgBr. The powder XRD pattern is computed, not measured: it uses the PBE geometry in Alexandria and CuKα.
Lines closer than 0.1° are merged.

Largest 12 diffraction maxima, sorted by position, 10 to 90 degrees two-theta:
2theta, Rel. int.
16.41, 15.6
28.85, 100.0
33.18, 43.0
33.93, 20.2
47.63, 15.8
48.19, 30.5
56.64, 31.1
57.63, 14.8
59.76, 16.2
77.92, 12.8
79.35, 7.4
89.17, 11.7

Cell and atoms:
```
5
Lattice="5.400 0.000 0.000 0.000 5.400 0.000 0.000 0.000 5.284" Properties=species:S:1:pos:R:3 pbc="T T T"
Al 0.000 0.000 0.000
Sn 0.000 2.700 0.000
Sn 2.700 0.000 0.000
Hg 0.000 0.000 2.642
Br 2.700 2.700 2.642
```

=====

(6)
Diffraction record for MnAl2I6Br2. The powder XRD pattern is computed, not measured: it uses the PBE geometry in Alexandria and CuKα.
Lines closer than 0.1° are merged.
********

[Job]
Say how many lines of the data above hold the word "In", as a bare number.

[Solution]
2